Seven Keys to Defending a One-on-one Along the Boards, by Enio Sacilotto
When your team loses possession of the puck in a hockey game, your players must have the mentality to pressure the opponent with the puck as quickly as possible so your team can get the puck back. It is more fun to play with the puck than without! The terms we like to use are “offence from defence” and “play defence to go on offence.”
There are many game situations where players will be in a one-on-one battle and must work to get the puck back. This article and video will look at the key points to successfully gain possession of the puck in a one-on-one battle along the boards.
1. When pursuing the puck carrier, you must skate to him from an angle rather than going straight to him. If the puck carrier stops, you must immediately stop with him, and your body must be even with his. We call this “stopping on the puck” instead of skating past the opponent and giving him space. Stopping on the puck will take the carrier’s skating lane away and o his passing lane.
2. After stopping on the puck, you must keep your stick blade on the ice, hold your stick with your top hand only and attempt to strip the opponent of the puck with your blade. We call this “stick on the puck.” Your stick blade, on the ice, with your top hand on your stick, will mirror the puck. Avoid swinging your stick like a sweep check; your opponent will take advantage and time your swing to avoid being stripped of the puck. A term we like to use is “elbow in, elbow out – jab the puck.” Lastly, we use the term “have a long stick.”
3. While trying to get your stick on the puck, you use your peripheral vision and watch his body; the term we use is “body on body.”
4. When you are in a close battle with your opponent, have control of his body, attempting to get your stick on the puck, you can use your free hand to push on the opponent’s hips. Pushing on his hips helps you throw him off his centre of gravity which he will then lose his balance, allowing you to get control of the puck.
5. Throughout this one-on-one battle, you must maintain defensive side positioning. An effective way to remember is to tell yourself, “Net-me-man.” Keeping your body between your net and your opponent will prevent him from taking the lane to your net and giving up a scoring opportunity.
Next to the piece, the page also holds molecular data:
- - -
[1]
7 unconnected molecules or ions with the total composition C28H45NO17S, computed with ωB97M-V with the def2-TZVPD basis set.

Geometry as XYZ:
```
92
C28H45NO17S | OMol25 | ωB97M-V with the def2-TZVPD basis set
C 2.21006 -0.67724 1.14041
C 1.98837 -1.24815 -0.26152
N 0.79294 -2.09067 -0.45593
C -0.49803 -1.50297 -0.21512
O -0.43151 -0.07977 -0.46164
S -1.61632 0.63632 0.28531
O -2.81560 0.49123 -0.47415
O -1.18696 1.91999 0.71086
O -1.66271 -0.34175 1.52740
C -1.07836 -1.63859 1.21831
O -2.01431 -2.64125 1.30140
H 1.29096 -0.27445 1.56828
H 2.59322 -1.44087 1.81860
H 2.93866 0.13210 1.11484
H 1.98823 -0.45950 -1.01421
H 2.81881 -1.90755 -0.51722
H 0.88069 -2.90999 0.13835
H -1.24657 -1.92043 -0.90016
H -0.32145 -1.81278 1.97899
H -2.63851 -2.55789 0.56530
O 1.64851 -3.44109 3.25118
C 0.68357 -3.26130 3.93857
C -0.54442 -4.13631 4.10023
C -1.56289 -3.19318 4.73201
C -0.65864 -2.22934 5.49107
O 0.55493 -2.15920 4.71429
H -0.27999 -4.96732 4.75831
H -0.83353 -4.54371 3.13416
H -2.29420 -3.68027 5.37090
H -2.10111 -2.65539 3.95174
H -0.40488 -2.59754 6.48735
H -1.05406 -1.22039 5.57498
O 5.54044 0.38450 1.80253
C 5.18994 0.96479 2.78691
C 5.76556 2.23299 3.39061
C 5.18673 2.24047 4.80113
C 3.88038 1.47715 4.60083
O 4.14601 0.54443 3.54117
H 5.40990 3.07413 2.79125
H 6.85052 2.21085 3.33591
H 5.03087 3.23350 5.21678
H 5.83971 1.68477 5.47528
H 3.06489 2.13104 4.28315
H 3.55974 0.90609 5.46837
O -2.05509 -3.04382 -2.59417
C -1.75456 -2.35963 -3.53390
C -1.71114 -0.84723 -3.61178
C -1.69312 -0.57818 -5.11183
C -1.01636 -1.84004 -5.63594
O -1.39797 -2.88714 -4.72003
H -0.79083 -0.51924 -3.12103
H -2.55309 -0.41886 -3.07247
H -1.17196 0.33198 -5.39279
H -2.71362 -0.51877 -5.49282
H 0.07265 -1.76038 -5.61900
H -1.33744 -2.14190 -6.62948
O -5.30573 -2.66107 6.29131
C -5.51209 -3.28371 5.29329
C -6.68071 -3.18725 4.33163
C -6.57212 -4.47310 3.51852
C -5.07228 -4.74883 3.57694
O -4.64506 -4.22866 4.84753
H -6.53004 -2.29556 3.71894
H -7.60817 -3.06750 4.88484
H -6.94126 -4.38964 2.49890
H -7.11584 -5.27722 4.01564
H -4.52589 -4.22131 2.79113
H -4.81082 -5.80345 3.54595
O 2.45337 6.05757 -2.79475
C 1.52729 5.34777 -2.52412
C 0.43074 5.55908 -1.49885
C -0.18616 4.17086 -1.36175
C 0.08343 3.56953 -2.73825
O 1.32186 4.17507 -3.16303
H -0.27152 6.28908 -1.90795
H 0.85482 5.96931 -0.58619
H -1.24054 4.16938 -1.09707
H 0.34426 3.59295 -0.60579
H -0.68050 3.81708 -3.47675
H 0.22338 2.49187 -2.73296
O 0.60877 2.49440 -5.66656
C 1.43210 3.09727 -6.29619
C 2.84756 3.46218 -5.90187
C 3.20829 4.56077 -6.89495
C 2.34470 4.18809 -8.09553
O 1.17223 3.56470 -7.53965
H 3.46577 2.56929 -6.02667
H 2.87239 3.75904 -4.85784
H 4.26636 4.61196 -7.14129
H 2.90155 5.52948 -6.49887
H 2.83734 3.46297 -8.74749
H 2.01553 5.03528 -8.69179
```
- - -
6. When you win the puck, you need to keep possession so your team can go on the attack. You must first refrain from exposing the puck to your opponent, or he will use the stick on the puck to check you and regain puck possession. You want to create a wall between the puck and your opponent. We call this “protecting the puck.”
7. You need to look around to decide what option to take, skate the puck, pass it to a supporting teammate, or freeze it along the boards and get a whistle. Players’ common fault is not looking around them and blinding passing the puck. Making eye contact with your supporting teammate, using verbal communication then passing him the puck is the best way to keep the puck and create offence from defence.
The following video illustrates the seven key points to win the one-on-one battle along the walls.
Enio Sacilotto is President of International Hockey Camps and operates the Mental Edge High-Performance Training. Enio has 39 years of coaching experience (professional hockey in Europe and the Victoria Royals (WHL)). Currently, he coaches at the Burnaby Winter Club Hockey Academy and the Croatian National Men’s team. If you have questions or are interested in his services, contact Enio at or call 604 255 4747. Website: